Disclaimer: I do not own the Percy Jackson series, books or characters

A/N: I am really sorry for not updating this story before. Truly I am but I was really busy with Created. My girlfriend has made me read Twilight so that I could give her ideas for her stories so I was also pressed for time. On top of that I have my own studies that need to be done. After all I need to mantain my GPA of 4.

I also want to explain the poll that I have started.

So it is about which story should be my main focus. So if you want to see this story updated more often then vote if not then *Shrug*. I am not trying the pressure you to vote though.

[The text is interrupted by materials data]
<<<
Entry 1:
First-principles (meta-GGA SCAN) data for a PBEsol-optimized structure of BeZnRe, as listed in Alexandria via LeMat-Bulk.

Output
Density: 10.18 g cm⁻³
Total DFT energy (no corrections): -85.9 eV/cell
Total moment: 1.1 μB/f.u.
DFT formation energy: 1.0158 eV per atom
V: 14.167 Å³/atom
Relative energy among the computed polymorphs: 85.7 kJ per mole of atoms

abc: 3.9172 3.9172 3.9172
angles: 60.00 60.00 60.00
Last column: nearest neighbours and their distance in Å.
Atoms (fractional coordinates):
Be  0.0000  0.0000  0.0000  4 Zn 2.40
Zn  0.2500  0.2500  0.2500  4 Re 2.40, 4 Be 2.40
Re  0.5000  0.5000  0.5000  4 Zn 2.40



Entry 2:
First-principles (meta-GGA SCAN) data for a PBEsol-optimized structure of CrRu3W, as listed in Alexandria via LeMat-Bulk.

Output
Density: 9.24 g cm⁻³
Total DFT energy (no corrections): -184.7 eV/cell
Total moment: 2.1 μB/f.u.
DFT formation energy: 1.5788 eV per atom
V: 19.373 Å³/atom

abc: 4.5925 4.5925 4.5925
angles: 90.00 90.00 90.00
Last column: nearest neighbours and their distance in Å.
Atoms (fractional coordinates):
Cr  0.0000  0.0000  0.0000  12 Ru 3.25
Ru  0.0000  0.5000  0.5000  2 W 2.30
Ru  0.5000  0.0000  0.5000  2 W 2.30
Ru  0.5000  0.5000  0.0000  2 W 2.30
W  0.5000  0.5000  0.5000  6 Ru 2.30
>>>

The more votes each of my story gets the more likely it will be updated often. The story with the most votes will be updated the quickest out of all of them.


POV: Percy

I scurried to my room quickly and started to pack the nessessarities for the upcoming trip.

"Percy" My brother called, I ignored him. "Percy!" He said again more forcefully and I stopped


"Percy, we are going under the sea with dad." He reminded me "We don't need to bring anything" I face palmed and groaned. "No sweat, I know that you are nervous." I nodded

"Yeah, it is just that dad has never needed our help for much before." Even though he has always needed as much help as he could get, I added.

"I totally understand" We walked towrds the lakeshore and Chiron met us there.

"Percy and Triton" He shook our hands

"Do you know how to get there?" I tried to look confused but I am not sure if it worked

"Yes, our father just Imed us with directions to his palace." Triton lied smoothly gods why couldn't I lie as smoothly as Triton

It is because you are always Mr. Nicey Nice Triton answered in my head

Thanks I thought

Your welcome I faced him and he grinned slightly.

"Okay then, I suppose that you can leave but come back as soon as you can." I didn't know why Chiron was so desperate to have us here.

"Okay, tell the campers that we will be back" We waded into the water and then slowly, as the bottom deepened, we started to swim before diving under the water. We raced towards the palace in a hurry to help our father.

"What do you think he needs our help for?" I asked worried

"I don't know, but I think that we should hurry and find out." It was obvious that Triton was slightly upset but I ignored it. I knew that he didn't mean to be rude he was just worried. I nodded to show him that understood and I quickened my pace and sped towards the palace, double time.

"Dad!" I called out

"Dad!" Triton joined me in calling our father. I zoomed towards the throne room and stopped in front of the closed doors. I didn't know what was waiting on the other side but I wasn't sure if I wanted to find out. "Percy, snap out of it. Don't let the fear over take you."

"Uh, yeah" I tried to focus and Triton opened the doors with a heave. It was easy for him to say. He could exactly die but I could.

"Dad!" He called out

"Triton!" Poseidon came towards us, confused. "Percy!" He yelled happily when he saw me. "Why are you guys here?" He seemed generally confused

"Dad, don't you know?" He shook his head. Triton gave me a quick but worried glance. "Dad, you called for us to return here." Triton informed him.

"No, I don't remember doing so." Poseidon argued

"Dad, you did."I added trying to help out a confused looking Triton.

"I do not remember doing such thing." I felt sorry for him, he looked so confused at the moment.

"But" Triton stuttered "But, you IMed us and said to come because of Oceanus."

"I did?" Dad scratched his head in confusion and shrugged "Well, I don't need you here anymore so I guess you can go back."

"Oh, so we went all that way for nothing." Triton complained

"Yeah, I guess so. But dad, he seemed kind of off."

"I don't know what you are talking about."

"Didn't you notice that dad didn't have his Trident?" Dad loves his trident and usually didn't go anywhere without it.

"Yeah, but he might have misplaced it." Triton waved my suggestion off.

"I guess." I wasn't sure though "Whatever, lets just get back to Camp Half-Blood so that they don't start to worry."

"I agree with you brother but they wouldn't worry" At least I hope that they didn't worry. "So when are you going to leave me at Camp Half-Blood alone?" I changed the subject away from the mystery, that was our father.

"I will only leave you when you are ready for me to leave you" Triton assured me

"I am not sure, you might be stuck there until I die." I informed him

"I assumed that much but you never know." He wiggled his eyebrows "Someone might catch you eye, one day." I groaned, talking about the subject of love was something I did not enjoy.

I don't know it just seemed like to much work. You have to go through all that work and then usually people break up and then you have just wasted all that time, when you could have been doing something totally awesome.


"I mean it Percy." Triton turned serious "I know that you think love is a waste of time but when you find the right person then you will finally understand what I am talking about."

"You mean never" I tried to end the conversation

"What ever lets you sleep better at night." He rolled his eyes just as we arrived back at Camp Half-Blood.